[Given]
+++
The following is a DFT calculation (wB97M-V/def2-TZVPD) of C4H5N3O as an isolated structure at a distorted geometry.

```
13
Properties=species:S:1:pos:R:3:lowdin_charge:R:1
O 1.233 1.170 1.613 -0.02
N -0.459 -0.822 -0.047 -0.08
N -0.195 0.931 -1.307 0.16
N -0.385 -1.383 -1.246 0.11
C -0.049 0.670 1.283 -0.24
C -0.334 0.489 -0.139 -0.37
C 0.001 -0.844 1.280 -0.06
C -0.256 -0.287 -2.037 -0.13
H 1.867 1.267 0.852 0.13
H -0.900 1.041 1.837 0.16
H 1.016 -1.299 1.432 0.16
H -0.069 -0.340 -3.087 0.09
H -0.677 -1.277 1.935 0.10
```

- HOMO-LUMO gap: 10.48 eV
- Calculated total energy: -10743.96818 eV
- Charge: 0
- Lowest unoccupied orbital energy: 0.757 eV
- Energy above the lowest of the compared OMol25 structures with the same formula, charge and spin: 351.8 kJ/mol

The following is a DFT calculation (wB97M-V/def2-TZVPD) of a 4-piece molecular cluster, C4H14O3 overall at a distorted geometry.

```
21
Properties=species:S:1:pos:R:3:lowdin_charge:R:1
O 2.391 -3.773 0.337 -0.10
O 0.877 -0.802 1.725 -0.10
O 3.070 0.714 1.136 -0.06
C -0.935 -1.104 -1.093 -0.13
C -1.482 1.213 -0.224 -0.17
C -2.199 2.481 -0.726 -0.17
C -1.276 0.326 -1.250 -0.20
H 0.097 -1.038 -0.758 0.05
H -1.703 0.704 -2.217 0.10
H 2.432 -2.976 0.896 0.01
H -2.133 2.652 -1.808 0.05
H 3.012 0.760 0.158 0.08
H 1.380 -3.818 0.313 0.07
H -3.326 2.510 -0.265 0.11
H -1.396 -1.757 -0.317 0.09
H 1.575 -0.314 1.312 -0.05
H -1.740 3.416 -0.143 0.08
H 2.958 1.621 1.476 0.07
H -1.144 -1.663 -2.003 0.07
H -1.369 1.072 0.872 0.10
H 0.911 -0.224 2.581 0.10
```

- HOMO-LUMO gap: 8.97 eV
- Calculated total energy: -10515.52782 eV
- Charge: 0
- Lowest unoccupied orbital energy: 0.223 eV
- Energy above the lowest of the compared OMol25 structures with the same formula, charge and spin: 231.7 kJ/mol

The following is a DFT calculation (wB97M-V/def2-TZVPD) of a single C15H20N2O2 molecule.

```
39
Properties=species:S:1:pos:R:3:lowdin_charge:R:1
O -0.525 0.581 -2.530 -0.05
O -2.688 -3.958 -0.239 -0.06
N 2.873 2.554 1.056 -0.10
N 2.734 4.316 2.379 0.05
C 1.057 1.972 -1.285 -0.16
C 2.647 1.229 0.545 -0.14
C 1.245 1.083 -0.058 -0.17
C -1.077 -0.467 -1.846 -0.28
C -1.021 -1.697 -2.508 0.00
C 3.516 3.581 0.425 -0.09
C -1.696 -0.414 -0.607 -0.03
C -0.331 1.839 -1.922 -0.19
C -1.559 -2.828 -1.943 0.00
C 3.423 4.657 1.259 -0.16
C -2.177 -2.776 -0.690 -0.28
C -2.239 -1.556 -0.034 -0.02
C -2.184 -4.077 2.154 -0.07
C 2.419 3.061 2.227 -0.19
C -3.245 -4.034 1.057 -0.25
H -0.547 -1.735 -3.476 0.12
H 1.201 3.018 -1.008 0.11
H 2.767 0.513 1.365 0.13
H -1.114 2.066 -1.194 0.12
H -1.774 0.510 -0.056 0.10
H 3.404 1.017 -0.215 0.13
H 1.802 1.709 -2.039 0.12
H -0.411 2.560 -2.742 0.13
H -1.518 -4.919 1.987 0.08
H -1.518 -3.776 -2.454 0.12
H -2.662 -4.191 3.123 0.08
H -3.949 -3.209 1.226 0.11
H 3.981 3.457 -0.532 0.11
H 1.873 2.476 2.941 0.12
H 3.805 5.649 1.127 0.09
H -2.713 -1.460 0.930 0.11
H 0.507 1.346 0.704 0.11
H 1.096 0.037 -0.332 0.11
H -1.591 -3.166 2.156 0.07
H -3.810 -4.970 1.053 0.12
```

- HOMO-LUMO gap: 8.62 eV
- Calculated total energy: -22954.11398 eV
- Charge: 0
- Lowest unoccupied orbital energy: 0.678 eV
- Energy above the lowest of the compared OMol25 structures with the same formula, charge and spin: 206.2 kJ/mol

The following is a DFT calculation (wB97M-V/def2-TZVPD) of C6H13N2O as an isolated structure at a distorted geometry.

```
22
Properties=species:S:1:pos:R:3:lowdin_charge:R:1
O -2.981 1.406 -0.309 -0.04
N 1.408 0.474 0.004 -0.16
N -0.928 -1.870 0.114 0.00
C 0.460 -1.767 -0.263 -0.13
C 1.022 1.802 0.145 0.00
C 0.465 -0.308 -0.212 -0.11
C -1.035 -0.443 0.120 -0.16
C 2.756 0.124 0.219 0.04
C -2.689 0.054 -0.383 -0.13
H -3.753 1.557 0.235 0.10
H -1.157 -0.036 1.202 0.18
H 3.378 0.680 -0.520 0.14
H 1.489 2.357 -0.657 0.12
H 0.650 -2.240 -1.225 0.15
H 2.961 0.485 1.261 0.14
H 1.246 -2.293 0.310 0.14
H -2.746 -0.318 -1.420 0.12
H 1.481 2.282 1.066 0.14
H -3.247 -0.441 0.423 0.12
H -0.102 1.889 0.216 0.13
H 2.895 -0.886 0.058 0.07
H -1.572 -2.509 -0.385 0.15
```

- HOMO-LUMO gap: 8.83 eV
+++

[Brief]
Your job: set down the lines above from the one with "1.053 0.12" to the one with "8.62 eV" without altering anything.

[Here it is]
H -3.810 -4.970 1.053 0.12
```

- HOMO-LUMO gap: 8.62 eV